3 Benefits of Working Out

- - -
DFT (GGA-PBE) results for a relaxed PrHfF7 crystal.

Unit cell a=6.3055 b=5.8510 c=8.4866 alpha=90.00 beta=101.47 gamma=90.00
Fractional positions:
Pr 0.1581 0.0000 0.1883
Pr 0.8419 0.5000 0.8117
Hf 0.3117 0.9912 0.7244
Hf 0.6883 0.4912 0.2756
F 0.0536 0.3180 0.0270
F 0.0548 0.1985 0.7137
F 0.1272 0.7073 0.7165
F 0.2584 0.9946 0.4836
F 0.3580 0.9869 0.9656
F 0.4338 0.2815 0.2689
F 0.4745 0.7513 0.2620
F 0.5255 0.2513 0.7380
F 0.5662 0.7815 0.7311
F 0.6420 0.4869 0.0344
F 0.7416 0.4946 0.5164
F 0.8728 0.2073 0.2835
F 0.9452 0.6985 0.2863
F 0.9464 0.8180 0.9730

## Properties
E   -7.07 eV per atom

----------

Record 1
# YSiPd | Materials Project | PBE | relaxed
data_YSiPd
_cell_length_a 10.3898
_cell_length_b 4.2447
_cell_length_c 6.9966
_cell_angle_alpha 90.00
_cell_angle_beta 132.22
_cell_angle_gamma 90.00
_symmetry_space_group_name_H-M 'C 1 2/m 1'
_symmetry_Int_Tables_number 12
_symmetry_space_group_name_Hall '-C 2y'
loop_
_atom_site_label
_atom_site_type_symbol
_atom_site_fract_x
_atom_site_fract_y
_atom_site_fract_z
_atom_site_occupancy
Y1 Y 0.0507 0.0000 0.2905 1
Si1 Si 0.1512 0.5000 0.7036 1
Pd1 Pd 0.1833 0.5000 0.1199 1
# E_tot, eV/f.u.: -19.9

=====

Record 2
# Y2Si3Pd | Materials Project | PBE | relaxed
data_Y2Si3Pd
_cell_length_a 8.2266
_cell_length_b 8.2266
_cell_length_c 7.9181
_cell_angle_alpha 90.00
_cell_angle_beta 90.00
_cell_angle_gamma 120.00
_symmetry_space_group_name_H-M 'P 63/m m c'
_symmetry_Int_Tables_number 194
_symmetry_space_group_name_Hall '-P 6c 2c'
loop_
_atom_site_label
_atom_site_type_symbol
_atom_site_fract_x
_atom_site_fract_y
_atom_site_fract_z
_atom_site_occupancy
Y1 Y 0.0000 0.0000 0.2500 1
Y2 Y 0.0236 0.5118 0.2500 1
Si1 Si 0.1656 0.3312 0.5023 1
Pd1 Pd 0.3333 0.6667 0.5422 1
# E_tot, eV/f.u.: -39.8

=====

Record 3
# YSiPd2 | Materials Project | PBE | relaxed
data_YSiPd2
_cell_length_a 7.3681
_cell_length_b 7.0097
_cell_length_c 5.5362
_cell_angle_alpha 90.00
_cell_angle_beta 90.00
_cell_angle_gamma 90.00
_symmetry_space_group_name_H-M 'P n m a'
_symmetry_Int_Tables_number 62
_symmetry_space_group_name_Hall '-P 2ac 2n'
loop_
_atom_site_label
_atom_site_type_symbol
_atom_site_fract_x
_atom_site_fract_y
_atom_site_fract_z
_atom_site_occupancy
Y1 Y 0.0284 0.2500 0.1395 1
Si1 Si 0.1221 0.7500 0.3595 1
Pd1 Pd 0.1775 0.0521 0.5948 1
# E_tot, eV/f.u.: -26.2

=====

Record 4
# YSi2Pd2 | Materials Project | PBE | relaxed
data_YSi2Pd2
_cell_length_a 4.1553
_cell_length_b 4.1553
_cell_length_c 10.0035
_cell_angle_alpha 90.00
_cell_angle_beta 90.00
_cell_angle_gamma 90.00
_symmetry_space_group_name_H-M 'I 4/m m m'
_symmetry_Int_Tables_number 139
_symmetry_space_group_name_Hall '-I 4 2'
loop_
_atom_site_label
_atom_site_type_symbol
_atom_site_fract_x
_atom_site_fract_y
_atom_site_fract_z
_atom_site_occupancy
Y1 Y 0.0000 0.0000 0.0000 1
Si1 Si 0.0000 0.0000 0.3836 1
Pd1 Pd 0.0000 0.5000 0.2500 1
# E_tot, eV/f.u.: -32.4

=====

Record 5
# YSiPd | Materials Project | PBE | relaxed
data_YSiPd
_cell_length_a 4.3406
- - -

Larry Yong
3 min readMar 9, 2016


When we hear the word “work out”, the first thing that comes into my mind is definitely the gym. Who doesn’t want to have a healthy and good-looking body? Everyone wants to live for a hundred years, to stay physically and mentally healthy even when he/she gets old, and to have a fit or muscular body, but many people do not know how to achieve these. To be able to look healthier, one must lead a healthy lifestyle and one of the best ways in doing so is by working out. Working out doesn’t necessarily mean weight-lifting as there are many other forms of exercise such as running, jogging, high intensity interval training (HIIT), playing badminton etc. So what are the benefits of working out?

1) Fat Loss.

Many people are frustrated about how not-skinny-enough they are but are not doing anything about it. So why not start working out? To lose fat, one has to burn fat; to burn fat, one must increase his/her metabolic rate; to increase one’s metabolic rate, one must make his/her heart rate increase. Performing any form of exercise will help to increase our heart rate. Weight-lifting is a example par excellence for fat loss, as it involves a lot of muscle contractions which will cause an immense fat-burning effect. Believe it or not, weight-lifting is one of the best methods to lose fat along with HIIT. Many people especially girls are afraid of weight-lifting because they are afraid that they would ‘get big’ and look like those professional bodybuilders. However, that is just a myth. This is because testosterone is the only hormone that builds up muscles, the amount of testosterone in women are very little and insignificant, thus women build muscles with more difficulties compared to men.

2) Muscle-Up!

Most guys would love to have muscular bodies and doing weight-lifting is the best way to build muscles! Why? Weight-lifting involves muscle contractions against weights as when we contract our muscles against resistance such as dumbbells or a barbell during weight lifting sessions, our muscle tissues will break down. By consuming food that is rich in proteins, the proteins will be used to repair our damaged muscle tissues replacing them with larger muscle tissues called muscle hypertrophy. Do take note that to have muscle hypertrophy, one must have a good diet. Following a consistent workout schedule is a great way to discipline ourselves to keep persevering through the muscle soreness and finally completing the workout program.

3) Detox

One of the great ways to detoxify our body is through sweating. We tend to sweat when we exercise and that helps us in the detoxification process. The higher the intensity of the workout, the more we sweat, thus more toxic are removed from our body through which in turn will give us a healthier feel. Some of you might have heard a popular quote saying ‘Your Sweat Is Your Fat Crying’

These are 3 out of hundreds and thousands of benefits of working out. So live healthy, stay healthy! Do share your thoughts in the comments section below.

